
Gorka's dotfiles for any unix like OS

Primary LanguageShell


These are my dotfiles. Dotfiles are little settings files used by many applications on UNIX-based systems like Linux, BSD and OS X. They are called dotfiles because their name starts by dot, which makes them hidden by default to tools such as ls, Nautilus or Finder.

A clever strategy for managing dotfiles is to move them to a central folder and then use symlinks to link the files where they should go. That way, your system applications see the config files where they expect to but you can manage all your settings at once in a separate folder.

This is where Git becomes useful, because you can track the changes you do to your dotfiles: rollback if a particular change is harming, or test new changes in a branch keeping your main settings stable.

Pushing my dotfiles to GitHub makes it easy to keep an online backup. In case I format my PC or want to install these files into a new computer, I just have to clone my repository and set up. Another reason is for sharing the files with anybody so that other people can take whatever they consider useful.


Clone this repository in a location such as ~/.dotfiles. Then, enter the just cloned repository and start stowing the packages that you want or you can stow all of the packages with stowall.

Data records, kept here for reference:
~~~
Entry 1:
This record from Alexandria via LeMat-Bulk describes a relaxed AcSn4Hg crystal. The functional is PBE.

Cell and atoms, written as extended XYZ:
```
12
Lattice="3.505 -9.043 0.000 3.505 9.043 0.000 0.000 0.000 5.537" Properties=species:S:1:pos:R:3 pbc="T T T"
Ac 3.505 7.048 4.152
Ac 3.505 -7.048 1.384
Sn 1.989 5.083 1.384
Sn 2.035 0.934 4.152
Sn 2.035 -0.934 1.384
Sn 5.021 5.083 1.384
Sn 1.989 -5.083 4.152
Sn 4.975 0.934 4.152
Sn 4.975 -0.934 1.384
Sn 5.021 -5.083 4.152
Hg 3.505 2.150 1.384
Hg 3.505 -2.150 4.152
```

Calculated values
energy above the lowest structure with this stoichiometry	0.0	kJ/mol of formula units

=====

Entry 2:
This record from Alexandria via LeMat-Bulk describes a relaxed LiAs2AuBr crystal. The functional is PBE.

Cell and atoms, written as extended XYZ:
```
5
Lattice="4.688 0.000 0.000 0.000 4.688 0.000 0.000 0.000 4.782" Properties=species:S:1:pos:R:3 pbc="T T T"
Li 0.000 0.000 0.000
As 0.000 2.344 0.000
As 2.344 0.000 0.000
Au 2.344 2.344 2.391
Br 0.000 0.000 2.391
```

Calculated values
energy above the lowest structure with this stoichiometry	101.7	kJ/mol of formula units
ΔE_f (raw)	0.516	eV/atom

----------

{
  "formula": "ReRh5",
  "functional": "PBE",
  "state": "relaxed",
  "cell": [[2.730, 0.000, 0.000], [-1.365, 4.637, -1.746], [0.000, -0.708, 7.154]],
  "species": ["Re", "Rh", "Rh", "Rh", "Rh", "Rh"],
  "fractional_positions": [[0.281, 0.562, 0.053], [0.994, 0.989, 0.002], [0.286, 0.571, 0.683], [0.713, 0.425, 0.323], [0.566, 0.132, 0.733], [0.994, 0.988, 0.373]],
  "e_tot_ev_per_atom": -8.20,
  "n_ef_per_ev_atom": 1.0542,
  "formation_enthalpy_0k_ev_per_fu": 0.0,
  "polymorph_energy_ev_per_atom": 0.081,
  "volume_a3_per_cell": 87
}
~~~

git clone https://github.com/gorkarevilla/dotfiles.git ~/.dotfiles
cd ~/.dotfiles
stow zsh
stow openbox
stow tmux

Note that stow zsh works because there is a directory named zsh at ~/.dotfiles and because the parent directory for ~/.dotfiles/ is $HOME. If you are cloning this repository into a different location you will need to change the target directory or you will get these dotfiles linked at wrong locations.

'''
(1)
Entry from Alexandria: a relaxed structure of AcYAsSe (GGA-PBE).

Values from the calculation:
Raw formation energy (eV per atom): -1.704

```
data_AcYAsSe
_cell_length_a 7.521
_cell_length_b 7.521
_cell_length_c 7.521
_cell_angle_alpha 33.17
_cell_angle_beta 33.17
_cell_angle_gamma 33.17
_symmetry_space_group_name_H-M 'P 1'
_symmetry_Int_Tables_number 1
loop_
_symmetry_equiv_pos_as_xyz
'x,y,z'
loop_
_atom_site_label
_atom_site_fract_x
_atom_site_fract_y
_atom_site_fract_z
_atom_site_occupancy
Ac1 0.000 0.000 0.000 1
Y1 0.493 0.493 0.493 1
As1 0.755 0.755 0.755 1
Se1 0.238 0.238 0.238 1
```

---

(2)
Entry from Alexandria: a relaxed structure of CaPrAgPd (GGA-PBE).

Values from the calculation:
Total DFT energy (no corrections) (eV per atom): -4.201

```
data_CaPrAgPd
_cell_length_a 5.185
_cell_length_b 5.185
_cell_length_c 5.185
_cell_angle_alpha 60.00
_cell_angle_beta 60.00
_cell_angle_gamma 60.00
_symmetry_space_group_name_H-M 'P 1'
_symmetry_Int_Tables_number 1
loop_
_symmetry_equiv_pos_as_xyz
'x,y,z'
loop_
_atom_site_label
_atom_site_fract_x
_atom_site_fract_y
_atom_site_fract_z
_atom_site_occupancy
Ca1 0.000 0.000 0.000 1
Pr1 0.500 0.500 0.500 1
Ag1 0.750 0.750 0.750 1
Pd1 0.250 0.250 0.250 1
```

---

(3)
Entry from Alexandria: a relaxed structure of BaBrCl (GGA-PBE).

Values from the calculation:
Distance to the lowest polymorph of the same formula (eV/atom): 0.3361
Raw formation energy (eV per atom): -2.058

```
data_BaBrCl
_cell_length_a 5.291
_cell_length_b 5.291
_cell_length_c 5.291
_cell_angle_alpha 60.00
_cell_angle_beta 60.00
_cell_angle_gamma 60.00
_symmetry_space_group_name_H-M 'P 1'
_symmetry_Int_Tables_number 1
loop_
_symmetry_equiv_pos_as_xyz
'x,y,z'
loop_
_atom_site_label
_atom_site_fract_x
_atom_site_fract_y
_atom_site_fract_z
_atom_site_occupancy
Ba1 0.000 0.000 0.000 1
Br1 0.500 0.500 0.500 1
Cl1 0.750 0.750 0.750 1
```

---

(4)
Entry from Alexandria: a relaxed structure of Ba6IrPd2Br (GGA-PBE).

Values from the calculation:
Raw formation energy (eV per atom): -0.575

```
data_Ba6IrPd2Br
_cell_length_a 8.949
_cell_length_b 8.949
_cell_length_c 8.949
_cell_angle_alpha 53.08
_cell_angle_beta 53.08
_cell_angle_gamma 53.08
_symmetry_space_group_name_H-M 'P 1'
_symmetry_Int_Tables_number 1
loop_
_symmetry_equiv_pos_as_xyz
'x,y,z'
loop_
_atom_site_label
_atom_site_fract_x
_atom_site_fract_y
_atom_site_fract_z
_atom_site_occupancy
Ba1 0.004 0.323 0.673 1
Ba2 0.140 0.859 0.530 1
Ba3 0.323 0.673 0.004 1
Ba4 0.530 0.140 0.859 1
Ba5 0.673 0.004 0.323 1
Ba6 0.859 0.530 0.140 1
Ir1 0.926 0.926 0.926 1
Pd1 0.252 0.252 0.252 1
Pd2 0.748 0.748 0.748 1
Br1 0.432 0.432 0.432 1
```

---

(5)
Entry from Alexandria: a relaxed structure of La5ThPb3 (GGA-PBE).

Values from the calculation:
Total DFT energy (no corrections) (eV per atom): -5.225

```
data_La5ThPb3
_cell_length_a 9.945
_cell_length_b 9.945
_cell_length_c 6.880
_cell_angle_alpha 90.00
_cell_angle_beta 90.00
_cell_angle_gamma 120.00
_symmetry_space_group_name_H-M 'P 1'
'''

You also need a nerd font for the zsh. For example this one: Meslo LG M Nerd Font


Most of the packages have the name of the application they are used by, such as atom, bash or zsh and they don't need further explanation. However, there are a few special packages:

  • osx: special settings for MacOS X.
  • powershell: special settings for Windows (PowerShell).
  • ubuntu: special settings for Ubuntu based systems.
  • windows: special settings for Windows (Cygwin / MSYS-NT).


Please note that the settings provided by this repository are highly opinionated and designed to fit my needs. I don't recommend nobody to stick with my settings. My suggestion on the use of this repository is to take it as a framework for setting your own dotfiles.

The contents of this repository are provided AS IS with no warranties. I'm not responsible if you break your computer, lose your local settings or do anything wrong because of running the wrong script or executing the wrong command.